Indian Government’s Deadline for Following New Regulations Ends For Social Media Firms
In February this year, the government of India came out with new regulations for the social media firms. This was done after it became increasingly clear that of late major social media platforms like Facebook, Twitter and Whatsapp have introduced major changes in their policies and usage pattern that will likely compromise users’ privacy and safety of their data.
Subsequently, the government chalked out new regulations for the social media service providers if they wanted to continue their operations in India. They were given three months’ time to comply with these new regulations. However, the response of almost every social media channel was rather tepid because they essentially followed the law of their own countries that wasn’t acceptable to the government of India.
On 25th May, the government of India through their concerned department asked social media firms to give an immediate update on what actions they have taken with its new IT rules. In fact, the popular messaging app Whatsapp approached Delhi High Court and legally challenged the new regulations.
According to the guidelines of the Ministry of Electronics and Information Technology, mentioned in a letter with the title “significant social media intermediaries” it defines social media firms as those with over 5 million registered users in India. Last week on Wednesday, it asked these firms to furnish names of their apps, websites or services that will come under the purview of these new IT rules and the status of their compliance.

Calculated crystals, as found in the file >
____________
Entry a
CuBRu3: optimized geometry, PBE-GGA.

```
5
Lattice="4.044 0.000 0.000 0.000 4.044 0.000 0.000 0.000 4.044" Properties=species:S:1:pos:R:3 pbc="T T T"
Cu 0.000 0.000 0.000
B 2.022 2.022 2.022
Ru 0.000 2.022 2.022
Ru 2.022 0.000 2.022
Ru 2.022 2.022 0.000
```

Calculated values
Space group: Pm-3m, No. 221
Fermi-level density of states, states/eV/atom: 1.139
Total magnetization, μB/atom: 0.31



Entry b
CuBRu3: optimized geometry, PBE-GGA.

```
5
Lattice="4.438 0.000 0.000 0.000 4.438 0.000 0.000 0.000 4.438" Properties=species:S:1:pos:R:3 pbc="T T T"
Cu 0.000 0.000 0.000
B 2.219 2.219 2.219
Ru 0.000 0.000 2.219
Ru 0.000 2.219 0.000
Ru 2.219 0.000 0.000
```

Calculated values
Space group: Pm-3m, No. 221
Fermi-level density of states, states/eV/atom: 1.296
Total magnetization, μB/atom: 0.94



Which structure wins on stability? entry a wins.



Entry a
Cu2BS: optimized geometry, PBE-GGA.

```
8
Lattice="-2.037 2.037 6.524 2.037 -2.037 6.524 2.037 2.037 -6.524" Properties=species:S:1:pos:R:3 pbc="T T T"
Cu 3.056 0.782 -1.631
Cu 0.782 1.019 1.631
Cu -1.019 1.255 4.893
Cu 1.255 1.019 8.155
B 0.000 0.000 0.000
B 0.000 2.037 3.262
S 2.037 0.000 3.262
S 0.000 0.000 6.524
```

Calculated values
Space group: I-42d, No. 122
Fermi-level density of states, states/eV/atom: 0.351
Total magnetization, μB/atom: 0.00



Entry b
Cu2BS: optimized geometry, PBE-GGA.

```
4
Lattice="0.000 2.903 2.903 2.903 0.000 2.903 2.903 2.903 0.000" Properties=species:S:1:pos:R:3 pbc="T T T"
Cu 1.451 1.451 1.451
Cu 4.354 4.354 4.354
B 0.000 0.000 0.000
S 2.903 2.903 2.903
```

Calculated values
Space group: Fm-3m, No. 225
Fermi-level density of states, states/eV/atom: 0.256
Total magnetization, μB/atom: 0.00



Which structure wins on stability? entry a wins.



Entry a
Cu2B2Sb: optimized geometry, PBE-GGA.

```
10
Lattice="5.849 0.000 0.000 0.000 5.849 0.000 0.000 0.000 3.743" Properties=species:S:1:pos:R:3 pbc="T T T"
Cu 0.856 2.069 0.000
Cu 2.069 4.993 0.000
Cu 3.780 0.856 0.000
Cu 4.993 3.780 0.000
B 0.574 3.499 1.872
B 2.350 0.574 1.872
B 3.499 5.275 1.872
B 5.275 2.350 1.872
Sb 0.000 0.000 1.872
Sb 2.925 2.925 1.872
```

Calculated values
Space group: P4/mbm, No. 127
Fermi-level density of states, states/eV/atom: 0.316
Total magnetization, μB/atom: 0.00



Entry b
Cu2B2Sb: optimized geometry, PBE-GGA.

```
5
Lattice="-1.840 1.840 4.486 1.840 -1.840 4.486 1.840 1.840 -4.486" Properties=species:S:1:pos:R:3 pbc="T T T"
Cu 1.840 0.000 2.243
Cu 0.000 1.840 2.243
B 0.000 0.000 0.843
B 0.000 0.000 8.129
Sb 0.000 0.000 4.486
```

Calculated values
Space group: I4/mmm, No. 139
Fermi-level density of states, states/eV/atom: 0.379
Total magnetization, μB/atom: 0.00



Which structure wins on stability? entry b wins.



Entry a
CuB3Sb: optimized geometry, PBE-GGA.

```
5
Lattice="4.043 0.000 0.000 0.000 4.043 0.000 0.000 0.000 4.043" Properties=species:S:1:pos:R:3 pbc="T T T"
Cu 0.000 0.000 0.000
B 0.000 0.000 2.022
B 0.000 2.022 0.000
B 2.022 0.000 0.000
Sb 2.022 2.022 2.022
____________
It also asked the firms whether they have appointed chief compliance officer, nodal contact person and resident grievance officer. And in case they have, what are their names, contact numbers and their mailing addresses. The new rules that came into force in February this year required that firms should have a sufficient number of officials in India to address on-ground concerns.
The letter further implied that the government has no plan whatsoever to give extension on the deadline to social media firms, which expired on the 25th May, 2021 to comply with the new regulations. As a matter of fact, “The additional due diligence required from SSMI (significant social media intermediaries) have already come into effect after the conclusion of the additional three months given to SSMIs. Shortly after enacting the new IT rules in February, the government had duly notified social media firms to comply within the next three months.
What comes next are materials data, not part of the entry:
-- begin --
SnHgSbPb | PBE-GGA | optimized geometry

For the uncorrected energy, the calculation gives -11.8 eV/cell. As for the formation energy without anion corrections: 0.080 eV/atom.

a = 5.461 Å, b = 5.461 Å, c = 5.461 Å
α = 60.00°, β = 60.00°, γ = 60.00°
Element x y z (fractional)
1 Pb 0.250 0.250 0.250
2 Sb 0.000 0.000 0.000
3 Hg 0.500 0.500 0.500
4 Sn 0.750 0.750 0.750

=====

[1]
This record from Alexandria via LeMat-Bulk describes ZnAgSb2 after structural relaxation. The functional is GGA-PBEsol.

a = 3.083 Å, b = 3.959 Å, c = 7.146 Å
α = 90.00°, β = 90.00°, γ = 90.00°
Space group Pmm2 (No. 25)
Asymmetric unit:
Zn (0.000, 0.000, 0.000)
Ag (0.500, 0.500, 0.190)
Sb (0.000, 0.000, 0.407)
Sb (0.500, 0.500, 0.785)

Crystal system: orthorhombic


[2]
This record from Alexandria via LeMat-Bulk describes ZnAgSb2 after structural relaxation. The functional is GGA-PBEsol.

a = 4.611 Å, b = 4.611 Å, c = 8.010 Å
α = 90.00°, β = 90.00°, γ = 90.00°
Space group I4/mmm (No. 139)
Asymmetric unit:
Zn (0.000, 0.000, 0.000)
Ag (0.000, 0.000, 0.500)
Sb (0.000, 0.500, 0.250)

Crystal system: tetragonal


What did we get for uncorrected formation energy? Answer: 114 206 meV per atom, in the order shown.

=====

No. 1
Computed, not measured: a geometry-optimized CsMnSeI2 structure at the PBE-GGA level of DFT.

The energy relative to the lowest polymorph listed for this composition comes out at 606.7 meV per atom. Its energy relative to the elements, uncorrected is -66 meV/atom. The total energy comes out at -3.3872 eV per atom. Its crystal system is tetragonal.

a = 5.2443 Å, b = 5.2443 Å, c = 7.0942 Å
α = 90.00°, β = 90.00°, γ = 90.00°
Space group P4/mmm (No. 123)
Inequivalent atoms, fractional coordinates:
Cs 0.0000 0.0000 0.0000 x1
Mn 0.0000 0.0000 0.5000 x1
Se 0.5000 0.5000 0.0000 x1
I 0.0000 0.5000 0.5000 x2



No. 2
Computed, not measured: a geometry-optimized TbSm5Tl structure at the PBE-GGA level of DFT.

The energy relative to the lowest polymorph listed for this composition comes out at 0.0 meV per atom. The total energy comes out at -4.1935 eV per atom. Its crystal system is tetragonal. Its formation enthalpy at 0 K is 0.18 eV/atom.

a = 4.7791 Å, b = 4.7791 Å, c = 10.5008 Å
α = 90.00°, β = 90.00°, γ = 90.00°
Space group P4/mmm (No. 123)
Inequivalent atoms, fractional coordinates:
Tb 0.0000 0.0000 0.0000 x1
Sm 0.0000 0.5000 0.2572 x4
Sm 0.5000 0.5000 0.5000 x1
Tl 0.0000 0.0000 0.5000 x1

=====

Entry from Alexandria: crystalline IrPtI6 at its relaxed geometry (PBE-GGA).

Cell lengths 7.027, 7.027, 7.327 Å; angles 103.04, 103.04, 117.34 degrees
Fractional coordinates of all 8 atoms:
Ir1 0.000 0.000 0.000
Pt1 0.500 0.500 0.500
I1 0.593 0.894 0.745
I2 0.894 0.593 0.745
I3 0.106 0.407 0.255
I4 0.407 0.106 0.255
I5 0.217 0.217 0.781
I6 0.783 0.783 0.219

Raw formation energy ... -0.05 eV per atom
SG ... No. 12
Density ... 6.59 g/cm³

---

Entry from Alexandria: crystalline IrPt3I at its relaxed geometry (PBE-GGA).
-- stop --
The letter asked these firms that if they didn’t consider themselves as SSMI, they should provide the reasons for the same including the registered number of users on each of the services they provided. It warned firms that the government of India has the right to seek any additional information, permitted within these Rules and the IT Act.
+++
The following is a DFT calculation (GGA-PBE) of a relaxed NbTeN2 crystal.

CIF file:
```
data_NbTeN2
_cell_length_a 3.1907
_cell_length_b 3.1907
_cell_length_c 20.4029
_cell_angle_alpha 90.00
_cell_angle_beta 90.00
_cell_angle_gamma 120.00
_space_group_name_H-M_alt 'R -3 m'
_space_group_IT_number 166
_space_group_name_Hall '-R 3 2"'
loop_
_atom_site_label
_atom_site_type_symbol
_atom_site_fract_x
_atom_site_fract_y
_atom_site_fract_z
_atom_site_occupancy
Nb1 Nb 0.0000 0.0000 0.0000 1
Te1 Te 0.0000 0.0000 0.5000 1
N1 N 0.0000 0.0000 0.3883 1
```

The following is a DFT calculation (GGA-PBE) of a relaxed NbTeN2 crystal.

CIF file:
```
data_NbTeN2
_cell_length_a 5.569
_cell_length_b 5.569
_cell_length_c 9.295
_cell_angle_alpha 90.00
_cell_angle_beta 90.00
_cell_angle_gamma 90.00
_space_group_name_H-M_alt 'I -4 2 d'
_space_group_IT_number 122
_space_group_name_Hall 'I -4 2bw'
loop_
_atom_site_label
_atom_site_type_symbol
_atom_site_fract_x
_atom_site_fract_y
_atom_site_fract_z
_atom_site_occupancy
+++
But on May 26, WhatsApp decided to take legal action and challenged the Indian government to challenge its new rules that would allow authorities to track people’s private messages, and be vigilant.
For the last couple of months, tension has been continuously brewing between these technology giants and the Indian government. In the beginning of this year, Twitter, after being asked to block accounts that criticised the government and the Prime Minister Narendra Modi, didn’t oblige.
It was only last month, the Indian government asked Facebook, Instagram and Twitter to delete posts that were critical of PM Modi’s handling of the pandemic. Last week, the government of India objected to twitter’s labelling of some of ruling party politicians’ tweets as manipulated news. In fact, Delhi police officials went as far as serving a notice for an investigation into their Intel on classifying politicians’ tweets as misleading.
The New Delhi-based digital rights advocacy group Internet Freedom Foundation (IFF), in a statement said that big tech companies like Facebook, Twitter, Instagram, WhatsApp and Google often make policies and decisions that are contrary to the general interest of millions of Indians, and we at IFF have been consistently advocating to public authorities for user–centric regulations that help address them.
It further added that the Intermediaries Rules have failed to address these outstanding issues that often suffer from inherent defects of procedural and substantive legality and end up harming user’s rights as well as the innovation that makes the internet so special and exciting. And In present time, more than ever before we need to follow a course that is led by experts and the tenets of the Indian constitution.
The current tug of war between the government of India and the leading social media channels is eagerly watched by the Indian social media channels like Helo, Connected India and Vero, which are essentially all made in India apps with exciting features. If the government of India goes ahead and bans these hugely popular channels from operating in India, it will give a much sought after window of opportunity to these homegrown channels to establish themselves and increase their users base.
The entire social media world is currently abuzz with all kinds of rumors’ and anticipation. There are a lot of people who support the government of India’s stance on this crucial issue. They think most of these foreign based social media channels work in a very arbitrary and dictatorial manner, and it’s a high time to put a break to their idiosyncrasies.
However, there is a counter argument too from the activists who think that since these channels are refusing to sing on the government’s tune, these harsh regulations are being enforced. According to them, the government of India, by adopting a belligerent stance, has gone too far in this matter. They should have taken a more generous view of the whole affair, and instead of setting a deadline for these channels, they should have invited them for a talk to resolve the contentious issue.
As far as the new regulations are concerned, all channels don’t seem to be on the same page. In fact, Whatsapp went as far as asking Indian court of law to intervene in the matter for a lasting solution. Twitter too appears to be in no mood to accept the diktat of government. According to them, the new rules will compromise the privacy of users which goes against their principles.
Google and Facebook have sent feelers to the government saying they are ready to accept the new regulations. Maybe, they are avoiding confrontation as a part of a well thought out strategy, and looking for some middle ground. It will be interesting to see how things pan out in the next few weeks.